The 2015 Queens County Bird Club Big Sit at Fort Tilden on Saturday was a rousing success! In addition to having more participants, we had more bird species, 76, beating out last year’s inaugural effort by two whole species. We really had to work hard for our 76 species this year too, and it makes me wonder if it will possible to ever break a hundred species from the platform during an October big sit.
But what, exactly, is a Big Sit? Briefly and essentially, it is a competition to see as many birds as possible from one location in one day. We chose the Battery Harris Platform at Fort Tilden, along the barrier beaches of the Rockaway Pensinsula in Queens, because it affords a great view of both the bay and the ocean, as well as a wide expanse of dune scrub habitat. Not only that, but if the winds are right it can be a magnificent spot to witness both passerine and raptor migration.
The day started early, at 6:11 AM, with David Ringer, Josh Russell, and me on the platform trying to identify the calls of birds flying overhead. We weren’t very good at it at all so we didn’t record our first bird until a Herring Gull flew past, silhouetted by the lightening sky in the east. After that, species added up quickly, and by 9 AM we were over fifty species and we also had a full platform of birders. Some of the highlights during the early morning hours included our only Royal Tern of the day, spotted out over the ocean by Isaac Grant, our only White-breasted Nuthatch spotted by Pat Aiken, small flocks of Green-winged Teal, Gadwall, and Greater Scaup, all of which were our only sightings of the species for the day, and a female Black-throated Blue Warbler, one of only four wood-warbler species we would get.
Our first Great Blue Heron of the day was a distant bird, actually on the shore at Brooklyn’s Plum Beach, but our second did a nice eastbound flight past the platform.
Unfortunately, despite the north-northwest winds for most of the early morning hours and a cold front having past the previous night, we didn’t have a great morning flight of birds, and we struggled to get some species we had in double digits last year. We only had one Common Grackle, our only finches were House Finch and American Goldfinch, and it took until almost noon before we even spotted a Canada Goose!
The hawk flight was not large but we did see quite a few species of raptors. All three expected falcons – American Kestrel, Peregrine Falcon, and Merlin – put in appearances, and we also had both expected accipitors – Sharp-shinned Hawk and Cooper’s Hawk – as well as Osprey, Northern Harrier, and Red-tailed Hawk.
Misplaced crystal structures.
[1]
TaGaCuAg: relaxed, PBE.

Summary:
- ΔE to the lowest computed polymorph: 0 meV/atom
- Energy: -5.08 eV/atom
- Space-group type: F-43m

Lattice parameters (Å, degrees): 4.485 4.485 4.485 60.00 60.00 60.00
Atoms (fractional coordinates):
Ag 0.500 0.500 0.500
Cu 0.750 0.750 0.750
Ga 0.000 0.000 0.000
Ta 0.250 0.250 0.250


[2]
SmBiO3: relaxed, PBE.

Summary:
- Energy: -7.04 eV/atom
- Space-group type: C2/m

Lattice parameters (Å, degrees): 7.101 7.101 6.777 117.85 117.85 30.69
Atoms (fractional coordinates):
Bi 0.877 0.877 0.038
Bi 0.123 0.123 0.962
O 0.063 0.063 0.220
O 0.426 0.426 0.256
O 0.758 0.758 0.319
O 0.242 0.242 0.681
O 0.574 0.574 0.744
O 0.937 0.937 0.780
Sm 0.631 0.631 0.466
Sm 0.369 0.369 0.534


[3]
KGdB4: relaxed, PBE.

Summary:
- ΔE to the lowest computed polymorph: 0 meV/atom
- Energy: -5.35 eV/atom
- Space-group type: P6/mmm

Lattice parameters (Å, degrees): 3.226 3.226 8.890 90.00 90.00 120.00
Atoms (fractional coordinates):
B 0.667 0.333 0.281
B 0.333 0.667 0.281
B 0.667 0.333 0.719
B 0.333 0.667 0.719
Gd 0.000 0.000 0.500
K 0.000 0.000 0.000


[4]
LaNdI4: relaxed, PBE.

Summary:
- ΔE to the lowest computed polymorph: 106 meV/atom
- Energy: -3.89 eV/atom
- Space-group type: C2/c

Lattice parameters (Å, degrees): 7.725 8.101 8.918 112.53 111.02 99.44
Atoms (fractional coordinates):
I 0.129 0.873 0.119
I 0.490 0.246 0.119
I 0.151 0.558 0.369
I 0.718 0.811 0.369
I 0.282 0.189 0.631
I 0.849 0.442 0.631
I 0.510 0.754 0.881
I 0.871 0.127 0.881
La 0.243 0.493 0.985
La 0.757 0.507 0.015
Nd 0.883 0.133 0.266
Nd 0.117 0.867 0.734


[5]
ZrO: relaxed, PBE.

Summary:
- Energy: -9.35 eV/atom
- Space-group type: P-62m

Lattice parameters (Å, degrees): 5.303 5.303 3.203 90.00 90.00 120.00
Atoms (fractional coordinates):
O 0.406 0.000 0.000
O 0.000 0.406 0.000
O 0.594 0.594 0.000
Zr 0.000 0.000 0.000
Zr 0.667 0.333 0.500
Zr 0.333 0.667 0.500


[6]
RbTbPd: relaxed, PBE.

Summary:
- Energy: -3.39 eV/atom
- Space-group type: F-43m

Lattice parameters (Å, degrees): 5.147 5.147 5.147 60.00 60.00 60.00
Atoms (fractional coordinates):
Pd 0.000 0.000 0.000
Rb 0.250 0.250 0.250
Tb 0.750 0.750 0.750


What did the sixth record say?
RbTbPd: relaxed, PBE.

Summary:
- Energy: -3.39 eV/atom
- Space-group type: F-43m

Lattice parameters (Å, degrees): 5.147 5.147 5.147 60.00 60.00 60.00
Atoms (fractional coordinates):
Pd 0.000 0.000 0.000
Rb 0.250 0.250 0.250
Tb 0.750 0.750 0.750


Repeat the first record exactly.
TaGaCuAg: relaxed, PBE.

Summary:
- ΔE to the lowest computed polymorph: 0 meV/atom
- Energy: -5.08 eV/atom
- Space-group type: F-43m

Lattice parameters (Å, degrees): 4.485 4.485 4.485 60.00 60.00 60.00
Atoms (fractional coordinates):
Ag 0.500 0.500 0.500
Cu 0.750 0.750 0.750
Ga 0.000 0.000 0.000
Ta 0.250 0.250 0.250

~~~~~

(1)
VASP calculation (PBE) on an optimized crystal structure of Hf2Ti4N3.

Calculated values
DFT total energy = -83.8 eV for the cell shown
ΔE_f (raw) = -79 kJ/mol of atoms
We had almost every one of the aforementioned raptors perched at some point, like this Merlin.
Though we didn’t do too great with seaducks for the second straight year we did do better than last year, with Surf Scoter, Black Scoter, American Black Duck, and Red-breasted Merganser all showing, though only two of each except for Surf Scoter, of which we saw three. No Northern Gannet, no Great Cormorant, no Black Skimmer, though we did manage to see a single Common Loon.
• The entry is interrupted by data records:
'''
Crystalline BeFeCoRe2 at its relaxed geometry, computed with GGA-PBEsol.

Computed properties:
energy of formation: 0.889 eV per atom

abc: 4.0544 4.0544 3.7297
angles: 90.00 90.00 90.00
Last column: nearest neighbours and their distance in Å.
Element x y z (fractional)
Be 0.0000 0.0000 0.0000  2 Fe 1.86, 4 Re 2.03
Fe 0.0000 0.0000 0.5000  2 Be 1.86
Co 0.5000 0.5000 0.5000  8 Re 2.75, 4 Fe 2.87
Re 0.0000 0.5000 0.0000  2 Be 2.03
Re 0.5000 0.0000 0.0000  2 Be 2.03

----------

Entry 1:
Computed, not measured: a relaxed CoAgPt crystal at the PBE-GGA level of DFT.

```
CoAgPt
1.0
-1.394 1.394 5.774
1.394 -1.394 5.774
1.394 1.394 -5.774
Co Ag Pt
1 1 1
direct
0.000 0.000 0.000
0.669 0.669 0.000
0.357 0.357 0.000
```

Output
Crystal system: tetragonal
E_form: 2.53 kcal/mol of atoms
Symmetry: No. 107



Entry 2:
Computed, not measured: a relaxed SrCu3S crystal at the PBE-GGA level of DFT.

```
SrCu3S
1.0
4.643 0.000 0.000
0.000 4.643 0.000
0.000 0.000 4.643
Sr Cu S
1 3 1
direct
0.000 0.000 0.000
0.000 0.500 0.500
0.500 0.000 0.500
0.500 0.500 0.000
0.500 0.500 0.500
```

Output
Calculated total energy: -17.35 eV per cell
Crystal system: cubic
Symmetry: No. 221



Entry 3:
Computed, not measured: a relaxed Er2MgAs crystal at the PBE-GGA level of DFT.

```
Er2MgAs
1.0
1.895 1.094 10.002
-1.895 1.094 10.002
0.000 -2.188 10.002
Er Mg As
2 1 1
direct
0.110 0.110 0.110
0.890 0.890 0.890
0.000 0.000 0.000
0.500 0.500 0.500
```

Output
Crystal system: trigonal
E_form: -8.11 kcal/mol of atoms
Symmetry: No. 166



Entry 4:
Computed, not measured: a relaxed MgMn2Sb2 crystal at the PBE-GGA level of DFT.

```
MgMn2Sb2
1.0
7.300 0.000 0.000
0.000 7.300 0.000
0.000 0.000 3.209
Mg Mn Sb
2 4 4
direct
0.000 0.000 0.000
0.500 0.500 0.000
0.135 0.365 0.000
0.365 0.865 0.000
0.635 0.135 0.000
0.865 0.635 0.000
0.161 0.661 0.500
0.339 0.161 0.500
0.661 0.839 0.500
0.839 0.339 0.500
```

Output
Calculated total energy: -53.75 eV per cell
Crystal system: tetragonal
Symmetry: No. 127
'''
Heard only flyover Bobolinks, of which we had three, were nice, as was another flyover that we only heard, a Dickcissel. We didn’t get House Sparrow until I spotted a distant flock in the Community Garden, and that was species number 65. It’s not every day that you get 64 species in Queens before House Sparrow!
• Misplaced records of crystals:
- - -
No. 1
The following is a DFT calculation (GGA-PBE) of crystalline Ca2MgSe at its relaxed geometry.

Lattice parameters (Å, degrees): 4.0034 4.0034 27.0618 90.00 90.00 120.00
With the nearest neighbours (Å) after each atom.
Space group R-3m (No. 166, hexagonal axes)
Inequivalent atoms, fractional coordinates:
Ca (0.0000, 0.0000, 0.2329) x6  3 Se 2.92
Mg (0.0000, 0.0000, 0.0000) x3  6 Ca 3.57
Se (0.0000, 0.0000, 0.5000) x3  6 Ca 2.92

Distance to the lowest polymorph of the same formula, meV per atom: 0
Energy relative to the elements, uncorrected, eV/f.u.: -3.547
DOS(E_F), states/eV per cell: 9.2
VASP energy, eV/atom: -3.157

***

No. 2
The following is a DFT calculation (GGA-PBE) of crystalline NdSm5Ho2Er at its relaxed geometry.

Lattice parameters (Å, degrees): 5.6326 20.2226 10.7032 90.00 90.00 90.00
With the nearest neighbours (Å) after each atom.
Space group Cmc2_1 (No. 36)
Inequivalent atoms, fractional coordinates:
Nd (0.0000, 0.2017, 0.0000) x4  2 Ho 3.45-3.73, 8 Sm 3.51-3.86, 2 Er 3.67
Sm (0.0000, 0.0168, 0.0138) x4  2 Er 3.25, 3 Ho 3.44-3.59
Sm (0.0000, 0.2816, 0.2976) x4  1 Er 3.08, 1 Ho 3.36, 2 Sm 3.43
Sm (0.0000, 0.2983, 0.6953) x4  3 Sm 3.43-3.68, 1 Er 3.50, 3 Nd 3.51-3.80, 3 Ho 3.52-3.83
Sm (0.0000, 0.3926, 0.0153) x4  5 Sm 3.47-3.77, 4 Ho 3.59-3.62, 1 Nd 3.86
Sm (0.0000, 0.4794, 0.7318) x4  2 Er 3.20-3.33, 2 Sm 3.47-3.51, 2 Ho 3.51
Ho (0.0000, 0.1097, 0.7284) x4  7 Sm 3.44-3.83, 1 Nd 3.45, 2 Er 3.69
Ho (0.0000, 0.1157, 0.3082) x4  9 Sm 3.36-3.73, 1 Nd 3.73
Er (0.0000, 0.4113, 0.4481) x4  5 Sm 3.08-3.33

Energy relative to the elements, eV/atom: 0.1484
DOS(E_F), states/eV per cell: 56.8
VASP energy, eV/atom: -4.527

***

No. 3
The following is a DFT calculation (GGA-PBE) of crystalline SnAs2Se at its relaxed geometry.

Lattice parameters (Å, degrees): 7.0006 7.0006 7.0006 90.00 90.00 90.00
With the nearest neighbours (Å) after each atom.
Space group Fm-3m (No. 225)
Inequivalent atoms, fractional coordinates:
Sn (0.0000, 0.0000, 0.0000) x4  8 As 3.03
As (0.2500, 0.2500, 0.2500) x8  4 Se 3.03, 4 Sn 3.03
Se (0.0000, 0.0000, 0.5000) x4  8 As 3.03

Distance to the lowest polymorph of the same formula, meV per atom: 142
Energy relative to the elements, uncorrected, eV/f.u.: 1.369
DOS(E_F), states/eV per cell: 9.7
VASP energy, eV/atom: -3.854

***

No. 4
The following is a DFT calculation (GGA-PBE) of crystalline Y4Pt at its relaxed geometry.

Lattice parameters (Å, degrees): 6.7964 6.7964 6.7964 90.00 90.00 90.00
With the nearest neighbours (Å) after each atom.
Space group Im-3m (No. 229)
Inequivalent atoms, fractional coordinates:
Y (0.2500, 0.2500, 0.2500) x8  2 Pt 2.94
Pt (0.0000, 0.0000, 0.0000) x2  8 Y 2.94

Energy relative to the elements, eV/atom: -0.1457
Distance to the lowest polymorph of the same formula, meV per atom: 350
DOS(E_F), states/eV per cell: 15.0
VASP energy, eV/atom: -6.525

***

No. 5
The following is a DFT calculation (GGA-PBE) of crystalline NbCrTc at its relaxed geometry.
- - -
Ospreys are awesome. We saw a bunch.
Sometime around noon we were visited by a horde of folks on an American Littoral Society bird walk, a horde that were rather disappointed, I think, by the lack of hawks going past what is usually a decent hawkwatch site. Once they left most of the other folks doing the Big Sit did as well, and we were left with the hard core of the me, David, Josh, Lisa Scheppke, and Eric Miller.
Things really slowed down once the sun passed its midway point though Eric did his best by getting us a Barn Swallow mixed in with some Tree Swallows and a very high-flying Bald Eagle that could very easily have been missed.
Blue Jay was species number 72 though once we got them they were around the rest of the day.
Our record-tying species was Dunlin, hanging out down on the beach in the Sanderling flock, a bird we only got because we dispatched Lisa and Eric to the beach to report to us what they were seeing and we did see the flock, one of which was browner, from the tower. The aforementioned trio of Surf Scoters put us over the top and David’s spotting of a kamikaze Chimney Swift was our insurance bird, bringing us to 76. Though we waited until the sun went down we couldn’t add another species. We were, however, entertained by the guy and gal doing some nude photography in the dunes in the late afternoon light. Pro tip for those doing kinky outdoor photography: make sure that you aren’t being overlooked by a platform full of people with high-powered optics…much joking about adding boobies to the list was done, because, you know, birders.
Now I can’t wait until next year! Who else is coming?
Nude photography in the dunes? Picks or it didn’t happen! 🙂
Congratulations on breaking the record!